Activity.
What is needed: duplicate the whole of the contents below without altering anything.

Entries.
-- begin --
# Ho3Ni2B2C3
Simulated powder X-ray diffraction pattern, a wavelength of 1.5418 Å. Input: a DFT-relaxed cell (GGA-PBE, Alexandria).
Intensities are scaled so that the largest is 1000.

Structure:
Cell: 3.563 3.563 20.317 Å, 90.00 90.00 90.00°
Space group I4/mmm (No. 139)
One atom of each set of equivalent atoms:
Ho1 0.000 0.000 0.000
Ho2 0.000 0.000 0.378
Ni1 0.000 0.500 0.250
B1 0.000 0.000 0.196
C1 0.000 0.000 0.123
C2 0.000 0.000 0.500

Largest 8 diffraction maxima, low angle first, 2θ = 10–90°:
Position (°2θ), intensity, index
28.3, 1000, 1 0 3
33.4, 903, 1 0 5
35.3, 489, 0 0 8
35.6, 391, 1 1 0
36.8, 402, 1 1 2
39.9, 311, 1 1 4
51.3, 364, 2 0 0
63.8, 339, 2 0 8

=====

Entry 1:
For In4GaAu5, a DFT-relaxed cell (PBE, Alexandria) gives the calculated powder XRD pattern in this record (a wavelength of 1.5418 Å).

Cell lengths 5.5773, 6.4482, 6.5880 Å; angles 90.15, 102.46, 111.05 degrees
Positions (direct):
In1 0.0000 0.0000 0.0000
In2 0.0971 0.8065 0.5391
In3 0.4105 0.6672 0.1721
In4 0.5200 0.4985 0.7268
Ga1 0.5534 0.2206 0.3219
Au1 0.1062 0.2524 0.3846
Au2 0.5001 0.0660 0.9280
Au3 0.6616 0.9320 0.5722
Au4 0.8540 0.5481 0.1383
Au5 0.9942 0.4029 0.7664

Main lines, in order of rising 2θ (2θ from 10° to 90°):
Position (°2θ)  Rel. int.
24.65  25
31.83  82
32.44  24
32.84  100
32.98  49
38.66  44
40.25  31
41.28  30
41.79  24
43.70  58


Entry 2:
For PmErAlHg, a DFT-relaxed cell (PBE, Alexandria) gives the calculated powder XRD pattern in this record (a wavelength of 1.5418 Å).

Cell lengths 3.6181, 3.6181, 7.6985 Å; angles 90.00, 90.00, 90.00 degrees
Positions (direct):
Pm1 0.0000 0.0000 0.0000
Er1 0.0000 0.0000 0.5212
Al1 0.5000 0.5000 0.7519
Hg1 0.5000 0.5000 0.2829

Main lines, in order of rising 2θ (2θ from 10° to 90°):
Position (°2θ)  Rel. int.
11.49  26
27.23  23
34.01  100
35.08  47
47.23  9
50.42  23
60.16  18
62.24  35
71.58  12
84.71  9


Entry 3:
For LiHoSn3, a DFT-relaxed cell (PBE, Alexandria) gives the calculated powder XRD pattern in this record (a wavelength of 1.5418 Å).

Cell lengths 12.9616, 6.1382, 6.1677 Å; angles 90.00, 90.00, 90.00 degrees
Positions (direct):
Li1 0.1086 0.2500 0.0000
Li2 0.1086 0.2500 0.5000
Li3 0.8914 0.7500 0.0000
Li4 0.8914 0.7500 0.5000
Ho1 0.3108 0.0043 0.2500
Ho2 0.3108 0.4957 0.7500
Ho3 0.6892 0.5043 0.2500
Ho4 0.6892 0.9957 0.7500
Sn1 0.0824 0.6806 0.7500
Sn2 0.0824 0.8194 0.2500
Sn3 0.2661 0.0004 0.7500
Sn4 0.2661 0.4996 0.2500
Sn5 0.4972 0.7500 0.0000
Sn6 0.4972 0.7500 0.5000
Sn7 0.5028 0.2500 0.0000
Sn8 0.5028 0.2500 0.5000
Sn9 0.7339 0.9996 0.2500
Sn10 0.7339 0.5004 0.7500
Sn11 0.9176 0.1806 0.7500
Sn12 0.9176 0.3194 0.2500

Main lines, in order of rising 2θ (2θ from 10° to 90°):
Position (°2θ)  Rel. int.
28.95  32
32.14  56
32.27  100
34.57  78
35.77  46
35.89  45
41.51  35
42.12  41
50.53  27
70.03  26


Entry 4:
For Pm3AlAg4S8, a DFT-relaxed cell (PBE, Alexandria) gives the calculated powder XRD pattern in this record (a wavelength of 1.5418 Å).

Cell lengths 8.2379, 8.2379, 9.3611 Å; angles 122.74, 122.74, 59.11 degrees
Positions (direct):
Pm1 0.0000 0.0000 0.0000
Pm2 0.0000 0.5000 0.0000
Pm3 0.5000 0.0000 0.0000
Al1 0.5000 0.5000 0.0000
Ag1 0.0000 0.0000 0.5000
Ag2 0.0000 0.5000 0.5000
Ag3 0.5000 0.0000 0.5000
Ag4 0.5000 0.5000 0.5000
S1 0.0847 0.0847 0.8070
S2 0.1309 0.5699 0.8176
S3 0.4247 0.4247 0.1897
S4 0.4301 0.8691 0.1824
S5 0.5699 0.1309 0.8176
S6 0.5753 0.5753 0.8103
S7 0.8691 0.4301 0.1824
S8 0.9153 0.9153 0.1930

Main lines, in order of rising 2θ (2θ from 10° to 90°):
Position (°2θ)  Rel. int.
24.28  32
25.27  48
27.09  100
29.11  35
31.90  19
38.50  23
43.12  27
44.32  31
47.14  26
51.93  26


Entry 5:
For Tb2Pr2HoSc, a DFT-relaxed cell (PBE, Alexandria) gives the calculated powder XRD pattern in this record (a wavelength of 1.5418 Å).

Cell lengths 6.9192, 5.6282, 9.7532 Å; angles 90.00, 90.00, 90.00 degrees
Positions (direct):
Tb1 0.2500 0.0000 0.1661
Tb2 0.2500 0.5000 0.6662
Tb3 0.7500 0.0000 0.8339
Tb4 0.7500 0.5000 0.3338
Pr1 0.0000 0.0000 0.5000
-- stop --

Here it is.
# Ho3Ni2B2C3
Simulated powder X-ray diffraction pattern, a wavelength of 1.5418 Å. Input: a DFT-relaxed cell (GGA-PBE, Alexandria).
Intensities are scaled so that the largest is 1000.

Structure:
Cell: 3.563 3.563 20.317 Å, 90.00 90.00 90.00°
Space group I4/mmm (No. 139)
One atom of each set of equivalent atoms:
Ho1 0.000 0.000 0.000
Ho2 0.000 0.000 0.378
Ni1 0.000 0.500 0.250
B1 0.000 0.000 0.196
C1 0.000 0.000 0.123
C2 0.000 0.000 0.500

Largest 8 diffraction maxima, low angle first, 2θ = 10–90°:
Position (°2θ), intensity, index
28.3, 1000, 1 0 3
33.4, 903, 1 0 5
35.3, 489, 0 0 8
35.6, 391, 1 1 0
36.8, 402, 1 1 2
39.9, 311, 1 1 4
51.3, 364, 2 0 0
63.8, 339, 2 0 8

=====

Entry 1:
For In4GaAu5, a DFT-relaxed cell (PBE, Alexandria) gives the calculated powder XRD pattern in this record (a wavelength of 1.5418 Å).

Cell lengths 5.5773, 6.4482, 6.5880 Å; angles 90.15, 102.46, 111.05 degrees
Positions (direct):
In1 0.0000 0.0000 0.0000
In2 0.0971 0.8065 0.5391
In3 0.4105 0.6672 0.1721
In4 0.5200 0.4985 0.7268
Ga1 0.5534 0.2206 0.3219
Au1 0.1062 0.2524 0.3846
Au2 0.5001 0.0660 0.9280
Au3 0.6616 0.9320 0.5722
Au4 0.8540 0.5481 0.1383
Au5 0.9942 0.4029 0.7664

Main lines, in order of rising 2θ (2θ from 10° to 90°):
Position (°2θ)  Rel. int.
24.65  25
31.83  82
32.44  24
32.84  100
32.98  49
38.66  44
40.25  31
41.28  30
41.79  24
43.70  58


Entry 2:
For PmErAlHg, a DFT-relaxed cell (PBE, Alexandria) gives the calculated powder XRD pattern in this record (a wavelength of 1.5418 Å).

Cell lengths 3.6181, 3.6181, 7.6985 Å; angles 90.00, 90.00, 90.00 degrees
Positions (direct):
Pm1 0.0000 0.0000 0.0000
Er1 0.0000 0.0000 0.5212
Al1 0.5000 0.5000 0.7519
Hg1 0.5000 0.5000 0.2829

Main lines, in order of rising 2θ (2θ from 10° to 90°):
Position (°2θ)  Rel. int.
11.49  26
27.23  23
34.01  100
35.08  47
47.23  9
50.42  23
60.16  18
62.24  35
71.58  12
84.71  9


Entry 3:
For LiHoSn3, a DFT-relaxed cell (PBE, Alexandria) gives the calculated powder XRD pattern in this record (a wavelength of 1.5418 Å).

Cell lengths 12.9616, 6.1382, 6.1677 Å; angles 90.00, 90.00, 90.00 degrees
Positions (direct):
Li1 0.1086 0.2500 0.0000
Li2 0.1086 0.2500 0.5000
Li3 0.8914 0.7500 0.0000
Li4 0.8914 0.7500 0.5000
Ho1 0.3108 0.0043 0.2500
Ho2 0.3108 0.4957 0.7500
Ho3 0.6892 0.5043 0.2500
Ho4 0.6892 0.9957 0.7500
Sn1 0.0824 0.6806 0.7500
Sn2 0.0824 0.8194 0.2500
Sn3 0.2661 0.0004 0.7500
Sn4 0.2661 0.4996 0.2500
Sn5 0.4972 0.7500 0.0000
Sn6 0.4972 0.7500 0.5000
Sn7 0.5028 0.2500 0.0000
Sn8 0.5028 0.2500 0.5000
Sn9 0.7339 0.9996 0.2500
Sn10 0.7339 0.5004 0.7500
Sn11 0.9176 0.1806 0.7500
Sn12 0.9176 0.3194 0.2500

Main lines, in order of rising 2θ (2θ from 10° to 90°):
Position (°2θ)  Rel. int.
28.95  32
32.14  56
32.27  100
34.57  78
35.77  46
35.89  45
41.51  35
42.12  41
50.53  27
70.03  26


Entry 4:
For Pm3AlAg4S8, a DFT-relaxed cell (PBE, Alexandria) gives the calculated powder XRD pattern in this record (a wavelength of 1.5418 Å).

Cell lengths 8.2379, 8.2379, 9.3611 Å; angles 122.74, 122.74, 59.11 degrees
Positions (direct):
Pm1 0.0000 0.0000 0.0000
Pm2 0.0000 0.5000 0.0000
Pm3 0.5000 0.0000 0.0000
Al1 0.5000 0.5000 0.0000
Ag1 0.0000 0.0000 0.5000
Ag2 0.0000 0.5000 0.5000
Ag3 0.5000 0.0000 0.5000
Ag4 0.5000 0.5000 0.5000
S1 0.0847 0.0847 0.8070
S2 0.1309 0.5699 0.8176
S3 0.4247 0.4247 0.1897
S4 0.4301 0.8691 0.1824
S5 0.5699 0.1309 0.8176
S6 0.5753 0.5753 0.8103
S7 0.8691 0.4301 0.1824
S8 0.9153 0.9153 0.1930

Main lines, in order of rising 2θ (2θ from 10° to 90°):
Position (°2θ)  Rel. int.
24.28  32
25.27  48
27.09  100
29.11  35
31.90  19
38.50  23
43.12  27
44.32  31
47.14  26
51.93  26


Entry 5:
For Tb2Pr2HoSc, a DFT-relaxed cell (PBE, Alexandria) gives the calculated powder XRD pattern in this record (a wavelength of 1.5418 Å).

Cell lengths 6.9192, 5.6282, 9.7532 Å; angles 90.00, 90.00, 90.00 degrees
Positions (direct):
Tb1 0.2500 0.0000 0.1661
Tb2 0.2500 0.5000 0.6662
Tb3 0.7500 0.0000 0.8339
Tb4 0.7500 0.5000 0.3338
Pr1 0.0000 0.0000 0.5000